General News of Friday, 14 June 2002

Source: .

Anniversary statement of the NDC

Presented at a press conference, in Accra, to mark the party?s 10th anniversary

Today the National Democratic Congress, (NDC) marks the tenth anniversary of its historic formation, and takes a critical look at what is becoming known as "Ghana's Great Leap Backwards" under the NPP administration. *1e also take the opportunity to launch "A Social Democratic 'Agenda for Ghana", incorporating the social democratic philosophy of the NDC.

In commemoration of our tenth anniversary, the leadership of the N.DC extends its heartfelt felicitations to the Founding Fathers, members, supporters and all sympathizers who have stood behind the Party, especially in these difficult times when ordinary members and functionaries of the past NDC Government are being subjected to the cruelest and most unnecessary forms of harassment and political persecution for simply serving their nation to the best of their abilities and discretions,

~~~
1.
LiMn2CuRu2O8 (PBE with a Hubbard U, optimized geometry); raw total energy = -6.900 eV per atom; symmetry = No. 44; corrected total energy (MP2020 scheme) = -7.530 eV per atom; size of the total moment = 8.74 μB per formula unit; calculated formation energy = -22.96 eV/f.u.
1.0
-2.848 3.011 4.501
2.848 -3.011 4.501
2.848 3.011 -4.501
Li Mn Cu Ru O
1 2 1 2 8
Cartesian
0.000 0.000 0.000
2.848 1.517 -0.954
0.000 1.494 3.547
2.848 0.000 2.355
1.273 3.011 1.262
1.574 0.000 5.763
0.000 1.482 1.289
1.501 3.011 -0.808
1.346 0.000 3.693
2.848 1.701 1.267
0.000 1.310 5.768
-1.268 3.011 3.310
1.268 3.011 3.310
0.000 4.540 1.289

=====

2.
Li4Mn3Cu2Sb3O16 (PBE with a Hubbard U, optimized geometry); raw total energy = -6.092 eV per atom; symmetry = No. 1; corrected total energy (MP2020 scheme) = -6.663 eV per atom; size of the total moment = 12.04 μB per formula unit; calculated formation energy = -51.69 eV/f.u.
1.0
6.080 0.000 0.000
-2.977 5.336 0.000
-0.110 -0.226 9.909
Li Mn Cu Sb O
4 3 2 3 16
Cartesian
0.000 0.000 0.000
0.036 -0.103 4.845
0.073 3.477 1.179
3.036 1.587 5.954
1.580 4.284 7.701
4.623 0.828 2.784
3.149 3.480 2.751
0.201 3.524 4.691
3.251 1.828 0.114
0.038 1.652 7.732
-1.427 4.271 7.732
1.644 0.843 2.758
0.051 0.090 1.773
-1.384 2.577 6.624
0.142 -0.069 6.649
0.094 1.619 3.865
-1.484 4.446 3.819
-0.070 3.310 8.918
1.448 0.659 8.875
0.059 4.993 6.650
1.409 2.587 6.652
3.117 0.088 1.635
1.765 2.513 1.642
3.147 1.563 3.906
1.758 4.457 3.796
4.697 0.672 8.768
3.100 3.556 8.769
4.447 2.464 1.651

=====

3.
Li4Mn3Cu3Sb2O16 (PBE with a Hubbard U, optimized geometry); raw total energy = -6.018 eV per atom; symmetry = No. 1; corrected total energy (MP2020 scheme) = -6.590 eV per atom; size of the total moment = 10.27 μB per formula unit; calculated formation energy = -49.66 eV/f.u.
1.0
5.875 0.000 0.000
-2.848 5.228 0.000
-0.181 -0.506 9.728
Li Mn Cu Sb O
4 3 3 2 16
Cartesian
0.000 0.000 0.000
-0.101 -0.183 4.938
-0.071 3.278 4.155
2.802 1.134 8.958
-0.106 1.426 7.138
1.459 0.791 2.261
4.362 0.776 2.228
-1.520 3.987 7.077
1.381 3.980 7.086
2.946 3.349 2.235
0.079 3.446 0.030
2.844 1.582 4.911
-0.156 -0.354 7.891
-0.038 -0.082 3.087
-1.406 2.069 8.466
-1.387 4.385 1.054
0.078 1.695 1.137
-0.070 3.106 6.201
1.332 0.739 5.945
1.163 2.034 8.453
-0.054 4.491 8.393
1.485 2.270 3.515
2.773 0.020 3.539
2.908 1.593 1.295
1.580 4.312 1.034
2.840 3.335 5.885
4.337 0.739 5.924
4.182 2.356 3.551

=====

4.
Li4Mn3Cu2Sn3O16 (PBE with a Hubbard U, optimized geometry); raw total energy = -6.072 eV per atom; symmetry = No. 8; corrected total energy (MP2020 scheme) = -6.644 eV per atom; size of the total moment = 11.00 μB per formula unit; calculated formation energy = -51.50 eV/f.u.
1.0
5.263 -3.052 0.000
5.263 3.052 0.000
-0.493 0.000 9.807
Li Mn Cu Sn O
4 3 2 3 16
Cartesian
0.000 0.000 0.000
-0.189 0.000 4.836
3.306 0.000 5.897
7.102 0.000 1.079
4.342 1.511 2.737
4.342 -1.511 2.737
8.484 0.000 7.628
3.633 0.000 0.089
6.862 0.000 4.916
1.760 0.000 2.758
~~~
So much for the materials data >

Since the NDC blazed the democratic political trail ten years ago, it has chalked considerable success, arguably making Ghana the leading democratic nation in Africa, and bringing rare hope to a parched political terrain., From the stagnation of political development in the 1960s and 70s, the NDC led in the launching of a Fourth Republic that ushered in the first peaceful transfer of power in Ghana. The NDC created room in the democratic architecture for differences of political opinion, and entirely and sincerely leveled the political playing field.

The NDC took Ghanaian democracy to new frontiers, designing and implementing new concepts of local government that today ensure democratic participation across the social divide. Farmers, fishermen, medical doctors, market traders, teachers, nurses and the self employed found the true meaning of equal citizenship and proudly argued on the floors of unit committees and district assemblies, often turning the spotlight on previously obscure social issues. Ours is a unique record of people?s empowerment.

The NDC waged a relentless campaign for the disadvantaged and created an enabling environment characterised by a revolution in the economic and financial sectors, social and economic infrastructure, private sector development, education, health and housing.

For the first time in our history, a Stock Exchange was established to power the. mobilization of capital. Financial reforms spawned well over 300 forex bureaux and several new banks, enhancing access to private and corporate finance.

In the first year of its formation, the NDC launched a landmark political campaign devoid of acrimony that captured the imagination of the electorate. The campaign swept all opposition under the feet of the NDC to win a landslide electoral victory in December 1992, ushering in the 4th Republic of Ghana and installing the Founding Father of the Party, Fit. Lt. (rtd) JJ. Rawlings, as President of the Republic and Head of State.

Under the administration of the NDC, two other successful elections were conducted by the Electoral Commission the last of which, in December, 2000, ensured the smooth transfer of political power for the first time in the history of the country from one political party to a different political party.

With this record, the NDC has bestowed onto Ghana, an impeccable political legacy of which every member should be justifiably proud. It is a record with few parallels in Africa.

We nurtured democracy and multi?partyism, we ensured political stability, we secured the rule of law, and we guaranteed the independence of the judiciary.

We also liberalized the airwaves, and under the NDC government, the country saw the widest expansion of private radio and television stations in our nation?s history. In the area of the print media, the proliferation of newspapers also occurred within the media environment created by and under the administration of the NDC.

Indeed, the leadership of the NDC is very proud to be associated with this phenomenal nurturing of a budding political system and culture as well as the creation of a media environment that has become the envy of the rest of the continent.

The NDC boldly proclaims its mission. 'With a hand to every Ghanaian and an indomitable determination to build a proud and prosperous homeland'. This is the guiding principle that informs our philosophy of social democracy, which we take the opportunity to formally launch today. We assure the mass of Ghanaians of our undying determination to create a worthy democratic model in our homeland.

However, we are aware of the deliberate and concerted campaign orchestrated in high places to distort and obliterate our proud record. For example, recent GNA sources reported President Kufuor as saying that ?Ghana was at the crossroad (sic) of losing its socioeconomic gain when the New Patriotic Party (NPP) took over power.?

This statement flies in the face of the enormous achievements of the NDC government besides which the puny efforts of the NPP pale into insignificance. Indeed the NDC Government's performance was excellent until the middle of 1999 when we were hit by two developments beyond our control ? the plummeting of the world price of cocoa and the steep rise in the world price of crude oil.

Since the NPP Government came into power, the reverse has been the case. The world price of cocoa has almost doubled, and the world price of crude oil has been halved. Even with these working in the NPP's favour, they have not been able to perform adequately on the economic front.

=====
The following is a PBE calculation of a relaxed structure of ZnS, from the Materials Project database.

## Properties
**ρ**: 4.00 g cm⁻³
**Calculated volume**: 1293.94 Å³/cell
**DFT total energy**: -3.51 eV per atom
**Energy of formation from the pure elements**: -205 kJ/mol of formula units
**Space-group type**: P3m1 (156)

a b c (Å): 3.8516 3.8516 100.7184
angles (deg): 90.00 90.00 120.00
Last column: nearest neighbours and their distance in Å.
Sites, in units of the cell vectors:
Zn 0.0000 0.0000 0.0000  4 S 2.36
Zn 0.0000 0.0000 0.0627  4 S 2.36-2.37
Zn 0.0000 0.0000 0.1563  4 S 2.36
Zn 0.0000 0.0000 0.2188  4 S 2.36
Zn 0.0000 0.0000 0.3125  4 S 2.36
Zn 0.0000 0.0000 0.4063  4 S 2.36
Zn 0.0000 0.0000 0.5000  4 S 2.36
Zn 0.0000 0.0000 0.5938  4 S 2.36
Zn 0.0000 0.0000 0.6563  4 S 2.36
Zn 0.0000 0.0000 0.7500  4 S 2.36
Zn 0.0000 0.0000 0.8438  4 S 2.36
Zn 0.0000 0.0000 0.9063  4 S 2.36
Zn 0.3333 0.6667 0.1251  4 S 2.36
Zn 0.3333 0.6667 0.2500  4 S 2.36
Zn 0.3333 0.6667 0.3438  4 S 2.36
Zn 0.3333 0.6667 0.4375  4 S 2.36
Zn 0.3333 0.6667 0.5313  4 S 2.36
Zn 0.3333 0.6667 0.6250  4 S 2.36
Zn 0.3333 0.6667 0.7188  4 S 2.36
Zn 0.3333 0.6667 0.8125  4 S 2.36
Zn 0.3333 0.6667 0.9375  4 S 2.36
Zn 0.6667 0.3333 0.0313  4 S 2.36-2.37
Zn 0.6667 0.3333 0.0940  4 S 2.35-2.36
Zn 0.6667 0.3333 0.1875  4 S 2.36
Zn 0.6667 0.3333 0.2813  4 S 2.36
Zn 0.6667 0.3333 0.3750  4 S 2.36
Zn 0.6667 0.3333 0.4688  4 S 2.36
Zn 0.6667 0.3333 0.5625  4 S 2.36
Zn 0.6667 0.3333 0.6875  4 S 2.36
Zn 0.6667 0.3333 0.7813  4 S 2.36
Zn 0.6667 0.3333 0.8750  4 S 2.36
Zn 0.6667 0.3333 0.9688  4 S 2.36
S 0.0000 0.0000 0.0234  4 Zn 2.36
S 0.0000 0.0000 0.0862  4 Zn 2.36-2.37
S 0.0000 0.0000 0.1797  4 Zn 2.36
S 0.0000 0.0000 0.2422  4 Zn 2.36
S 0.0000 0.0000 0.3360  4 Zn 2.36
S 0.0000 0.0000 0.4297  4 Zn 2.36
S 0.0000 0.0000 0.5235  4 Zn 2.36
S 0.0000 0.0000 0.6172  4 Zn 2.36
S 0.0000 0.0000 0.6797  4 Zn 2.36
S 0.0000 0.0000 0.7735  4 Zn 2.36
S 0.0000 0.0000 0.8672  4 Zn 2.36
S 0.0000 0.0000 0.9297  4 Zn 2.36
S 0.3333 0.6667 0.1485  4 Zn 2.36
S 0.3333 0.6667 0.2735  4 Zn 2.36
S 0.3333 0.6667 0.3672  4 Zn 2.36
S 0.3333 0.6667 0.4610  4 Zn 2.36
S 0.3333 0.6667 0.5547  4 Zn 2.36
S 0.3333 0.6667 0.6485  4 Zn 2.36
S 0.3333 0.6667 0.7422  4 Zn 2.36
S 0.3333 0.6667 0.8360  4 Zn 2.36
S 0.3333 0.6667 0.9610  4 Zn 2.36
S 0.6667 0.3333 0.0548  4 Zn 2.36-2.37
S 0.6667 0.3333 0.1173  4 Zn 2.35-2.36
S 0.6667 0.3333 0.2110  4 Zn 2.36
S 0.6667 0.3333 0.3047  4 Zn 2.36
S 0.6667 0.3333 0.3985  4 Zn 2.36
S 0.6667 0.3333 0.4922  4 Zn 2.36
S 0.6667 0.3333 0.5860  4 Zn 2.36
S 0.6667 0.3333 0.7110  4 Zn 2.36
S 0.6667 0.3333 0.8047  4 Zn 2.36
S 0.6667 0.3333 0.8985  4 Zn 2.36
S 0.6667 0.3333 0.9922  4 Zn 2.36


The following is a PBE calculation of a relaxed structure of ZnS, from the Materials Project database.

## Properties
**ρ**: 3.37 g cm⁻³
**Calculated volume**: 2400.90 Å³/cell
**DFT total energy**: -3.10 eV per atom
**Energy of formation from the pure elements**: -126 kJ/mol of formula units
=====

The President is also reported to have taken credit for the granting of dual citizenship to Ghanaians resident abroad. This is a matter which every citizen knows was championed and substantially implemented by the NDC government, and about which the current government. little. Indeed, presidential gaffes in Zambia and Canada where President Kufuor announced that the law was about to be passed when it had already been passed in 2000 are still fresh in our minds.

The Citizenship Act, 2000, Act 591, which granted dual citizenship to Ghanaians for the first time, was passed by the Second Parliament of the Fourth Republic, which had an absolute NDC majority, and signed into law by ex?President JJ. Rawlings. The Regulations, which the NPP Government laid before the Third Parliament of the Fourth Republic, were finalized by the NDC Government before it left office.

The President is also quoted to have announced a few days ago in Hamburg, Germany, that his government had recently secured funds for the Tem.a?Sogakope road when in fact funding for that road project had been approved by Parliament in 2000. Indeed as far back as 1999, then NDC Minister of Finance Kwame Peprah in his Budget Statement had announced that donor financial commitment had been obtained for the Terna?Sogakope road (Page 44, paragraph 210 of the 1999 Budget Statement).

When recently the Ministry of Education cancelled the Basic Education Certificate Examination (BECE) results, practically every candidate was affected in an examination disaster unprecedented since colonial times. When the massive cost of cancellation, some ?42.5 billion, was pointed out to the NPP government, they deliberately turned a blind eye, and reacted as though the ?5 billion cost of reprinting examination papers was the only cost involved. In fact, total loss to government and parents included fees paid by candidates and actual government subvention as well as costs of the original print run and costs of preparing the pupils for the re?sit examinations.

Let us now turn to other matters of critical national importance.

While the NPP government goes about trumpeting its so?called achievements, the majority of Ghanaians are suffering. Prices of goods and services are sky high; schools fees have gone up substantially; and, water and electricity charges were increased by well over 100 per cent last year. Further increases in utility tariffs are threatened. Petrol prices were increased by 65 per cent and postal and telephone charges rose hugely.

On the other hand, public sector wages and salaries were increased by a meagre 20?30 percent, and the plight of the unemployed has worsened. A number of gimmicks have been used to raise and dash their hopes. Countrywide registration of the unemployed, undertaken last Year appears to have only added insult to injury as it has lead to no jobs for the unemployed. Street beggars and destitute who were similarly registered are also waiting patiently for their share of jobs.

A wide and ironic gap has emerged between official rhetoric and harsh reality. In the President's State of the Nation address earlier this year, he alluded to previous governments producing budgets that bore no resemblance to the realities on the ground'. That, indeed, is an excellent summary of the NPP's economic performance to date.

Present attempts to retire officers and men from the Army and replace them with party loyalists bode ill for our country. In spite of feeble denials, several individuals have identified themselves as having been approached on a partisan basis to join the Ghana Army.

This country cannot be run on the basis of parochialism. But on the basis of appointments into government and the inner circles of the Presidency, it appears that nepotism and parochialism are the guiding principles for appointment by the NIPP government. At the last count, well over 20 close relatives of the President had been appointed into privileged positions, many of them ill?qualified but earning thousands of dollars a month. The effect of this narrow agenda is to exclude wide sections of the citizenry from participation in public affairs and the effective running of their own country. On the contrary, we can point to a number of members of Kufuor's government, including the President himself, who were given opportunity to serve by the former NDC government.

We want to reiterate our concern about the continued non?use of the Presidential Gulf stream Jet whilst installments on it continue to be paid in foreign ?exchange and the President and his huge entourages continue to travel by commercial flights, first class, on their numerous trips, abroad. Meanwhile, the Presidential Fokker 28 Jet has also been refurbished at enormous cost to the State.

We also want to express concern about the political games being played with and in our Supreme Court. Never since President Kwame Nkrumah dismissed the 3 Supreme Court Justices who tried and acquitted Tawia Adamafio & 'Co. after the Kulungugu Bomb outrage and appointed 3 new Justices who found them guilty in a retrial, has any Government of Ghana so blatantly shown its hand at interfering with the composition of the Supreme Court in order to achieve a particular result in a particular case.

## Records of crystals, kept here for reference
<<<
The following is a DFT calculation (GGA-PBE) of a relaxed structure of TbGdIr2.

Cell: 6.9259 6.9259 6.9259 Å, 90.00 90.00 90.00°
Closest atoms and distances in Å follow each position.
Space group Fm-3m (No. 225)
Unique sites:
Tb (0.0000, 0.0000, 0.0000) [4 per cell]  8 Ir 3.00
Gd (0.0000, 0.0000, 0.5000) [4 per cell]  8 Ir 3.00
Ir (0.2500, 0.2500, 0.2500) [8 per cell]  4 Gd 3.00, 4 Tb 3.00

Summary:
Its theoretical density is 14.0 g cm⁻³. For the formation energy, the calculation gives -0.773 eV/atom.

* * * * *

*one*
Here is crystalline Li3Fe3P4O16 at its relaxed geometry from Materials Project. Energies are from GGA+U.

## Properties
Total moment   30.00 μB per cell
Volume   299.4 Å³/f.u.

Cell: 11.2771 6.0932 8.8606 Å, 79.52 90.00 90.00°
Atoms (fractional coordinates):
Li (0.3936, 0.8356, 0.9232)
Li (0.6134, 0.6474, 0.0628)
Li (0.8936, 0.1644, 0.0768)
Li (0.1907, 0.1058, 0.3520)
Li (0.6907, 0.8942, 0.6480)
Li (0.1134, 0.3526, 0.9372)
Fe (0.9080, 0.6118, 0.2401)
Fe (0.5835, 0.0796, 0.2653)
Fe (0.2994, 0.6204, 0.3569)
Fe (0.7994, 0.3796, 0.6431)
Fe (0.4080, 0.3882, 0.7599)
Fe (0.0835, 0.9204, 0.7347)
P (0.8673, 0.6344, 0.8972)
P (0.4119, 0.9293, 0.5906)
P (0.0874, 0.4541, 0.6093)
P (0.9119, 0.0707, 0.4094)
P (0.5874, 0.5459, 0.3907)
P (0.1352, 0.8694, 0.0856)
P (0.6352, 0.1306, 0.9144)
P (0.3673, 0.3656, 0.1028)
O (0.0348, 0.0215, 0.4852)
O (0.0548, 0.6592, 0.1411)
O (0.0673, 0.0841, 0.0844)
O (0.6915, 0.1487, 0.0719)
O (0.4400, 0.5786, 0.0827)
O (0.8063, 0.6600, 0.0536)
O (0.1915, 0.8513, 0.9281)
O (0.5673, 0.9159, 0.9156)
O (0.3063, 0.3400, 0.9464)
O (0.9400, 0.4214, 0.9173)
O (0.9422, 0.8519, 0.8442)
O (0.7369, 0.1438, 0.7932)
O (0.5548, 0.3408, 0.8589)
O (0.1065, 0.2341, 0.7252)
O (0.7719, 0.6277, 0.7718)
O (0.3764, 0.1209, 0.6795)
O (0.4422, 0.1481, 0.1558)
O (0.1278, 0.6363, 0.6981)
O (0.8145, 0.1006, 0.5273)
O (0.5348, 0.9785, 0.5148)
O (0.4126, 0.7108, 0.7169)
O (0.9558, 0.4831, 0.5569)
O (0.6700, 0.5383, 0.5305)
O (0.3145, 0.8994, 0.4727)
O (0.1700, 0.4617, 0.4695)
O (0.4558, 0.5169, 0.4431)
O (0.8764, 0.8791, 0.3205)
O (0.6065, 0.7659, 0.2748)
O (0.6278, 0.3637, 0.3019)
O (0.9126, 0.2892, 0.2831)
O (0.2369, 0.8562, 0.2068)
O (0.2719, 0.3723, 0.2282)

---

*two*
Here is crystalline Li3Fe3P4O16 at its relaxed geometry from Materials Project. Energies are from GGA+U.

## Properties
Total moment   30.00 μB per cell
Volume   318.8 Å³/f.u.

Cell: 8.1317 7.7554 10.1539 Å, 84.71 90.00 90.00°
Atoms (fractional coordinates):
Li (0.3616, 0.6375, 0.9207)
Li (0.6316, 0.8464, 0.3360)
Li (0.1316, 0.1536, 0.6640)
Li (0.8636, 0.3411, 0.5839)
Li (0.8616, 0.3625, 0.0793)
Li (0.3636, 0.6589, 0.4161)
Fe (0.6393, 0.8521, 0.8296)
Fe (0.1393, 0.1479, 0.1704)
Fe (0.5180, 0.2623, 0.1313)
Fe (0.4854, 0.2775, 0.6208)
Fe (0.9854, 0.7225, 0.3792)
Fe (0.0180, 0.7377, 0.8687)
P (0.1983, 0.5488, 0.1460)
P (0.6983, 0.4512, 0.8540)
P (0.6866, 0.4511, 0.3600)
P (0.3026, 0.0499, 0.8890)
P (0.3141, 0.0553, 0.3961)
P (0.8026, 0.9501, 0.1110)
P (0.1866, 0.5489, 0.6400)
>>>
## So much for the records of crystals

We however await the outcome of the Supreme Court decision in the Review Case involving the challenge to the constitutionality of the Fast Track High Court before we make our further views on this subject known.

At the risk of sounding repetitive, we wish to reiterate our strongest protest against the continued Intimidation, harassment, persecution and prosecution of ex?NDC Ministers of State and officials, our members, supporters, sympathizers and even perceived sympathizers, and warn that it is setting a bad precedent for the handling of future political transitions in the country.

Similarly, the attempt to characterize almost all international, agreements and domestic contracts entered into by the NDC Government as either criminal or tainted with corruption is sending very wrong signals to the investor community. The feeling is that one?s investment is never safe once there is a change of government, and that is risky for investments.

Contrary to what President Kufuor is reported to have told his audience in faraway Germany, the so?called reconciliation exercise will not succeed in its aim of uniting the country because the whole exercise as conceived and implemented is divisive.

The National Reconciliation Act under which the National Reconciliation Commission is to operate is partisan, the NDC Parliamentary Minority having boycotted the vote on it; it is targeted at the NDC/PNDC in particular; it contains provisions that are possibly un, constitutional and could constitute infringements on the fundamental human rights of some citizens; and the membership of the Commission includes persons who are either hostile, or have reasons to be hostile to the NDC; and at least one person who has been a political competitor to the NDC in this very Fourth Republic,

Instead of some of our friends in the media discussing these and other very critical issues of the day, they have unfortunately left much to be desired. Many pressmen and women are worthy people who report and comment objectively on political matters. However, others have permitted television, newspaper columns and the airwaves to become mere conduits of Government propaganda. Today many broadminded citizens recoil in horror at steeply unbalanced daily discussions on radio and television calculated solely to secure political advantage through falsehood, exaggeration and misrepresentation facts, remember the speed with which the NPP in opposition rushed to court to complain that the state media were not giving them fair or adequate coverage. With corruption ?and reports of corruption oozing from the heart of government, it would be worthwhile to turn sustained media attention TO happenings at Tema Municipal Assembly, the Ministries and elsewhere.

It is time Ghanaians judged for themselves. No Government can succeed by distorting facts and living in a world of make?belief. In the deceptive world of political spin, it is the spinners who lose out in the end when the people find out the truth. Spin after spin may well turn pathological.

On the occasion of the 10th anniversary of the formation of the NDC, we urge, the NPP Government to put a stop to the unhealthy political practices and let us work together to move Ghana forward, even as we engage in healthy political debate and healthy electoral politics.

The N.DC 'hopes that the present leaders will build upon the foundation that was laid under its stewardship so that Ghana's current democratic dispensation can survive the test of time to fulfill the hopes and aspirations of Ghanaians for a happy, strife?free and prosperous country,

We thank you very much for being with us to share in the joy of our anniversary.